"I can't stand a naked light bulb, any more than I can a rude remark or a vulgar action "

It was Blanche duBois that famously banged on about the "kindness of strangers" was it not?
Well I've never wafted my perspiring body around a humid New Orleans' apartment in my underwear  but I'm often known for posting a little something about the kindness of people.

This afternoon I delivered my shittily iced cake to Bridget who is co ordinating the carnival bakes.
Her cakes would put Nadia Hussain's to shame ,
As I left she gave me a small carrier bag. " Open It when you get home" she told me.
The gift was wrapped in pink tissue paper
It was a photo frame

She had printed up the famous " Terriers of Trelawnyd " photo and had it framed for me


Shit piping but the cake will be good

My nephew collected Bluebell for her full service this morning so I am effectively marooned for the day in the village.
Not that I mind.
The garden is overgrown and battered due to the rain recently and is in need of some attention as is the field which now resembles a jungle . Affable despot Jason and his big boys power tools will be helping me sort that out one evening soon

Trendy Carol ( sporting a motif t shirt, jeans and a nice leather jacket) called round to collect Mary for a play gallop with her Welsh terrier Seren.
She's offered to take Winnie too but the big girl is flat out on the couch.

I've promised to make two cakes for Bridget's tea tent for tomorrow's carnival too.
I'll do those later.( see above a postdated photo)
Fuck I've just realised that I've got no jam....I will go and bum some from Animal Helper Pat. She always has a well stocked larder

Dr Barnsley has just rode up the lane on his bike. He always seems to be in first gear, with feet pushing the peddles like Billyo , but never seems to get anywhere fast...

Lots of teenage school kids have been passing the cottage all morning . They seem to be on some sort of orienteering event.
Every little group of them have bid me a greeting when they passed the garden.
The youth of today eh?


More pressing things to publicise 

Attached: calculated crystals:
+++
Material: Li4Nb2Fe3Sb3O16
Method: DFT, GGA+U
State: relaxed

## Properties
formation energy from the elements	-59.55	eV/f.u.
energy with MP2020 corrections	-7.30	eV per atom
magnetization	26.00	μB/cell

Unit cell a=11.0009 b=6.2423 c=9.9921 alpha=90.00 beta=90.85 gamma=90.00
Last column: nearest neighbours and their distance in Å.
Space group Cm (No. 8)
Symmetry-distinct sites (fractional):
Li1 0.0000 0.0000 0.0000 [2 per cell]  1 O 1.83
Li2 0.0043 0.0000 0.4865 [2 per cell]  2 O 1.86-2.00
Li3 0.1847 0.5000 0.0882 [2 per cell]  4 O 2.01-2.23
Li4 0.3486 0.0000 0.5681 [2 per cell]  2 O 1.96-2.06
Nb1 0.1835 0.5000 0.4841 [2 per cell]  6 O 1.94-2.17
Nb2 0.3573 0.0000 0.0036 [2 per cell]  3 O 1.92-1.94
Fe1 0.3466 0.5000 0.7707 [2 per cell]  4 O 1.93-2.12
Fe2 0.4262 0.2496 0.2721 [4 per cell]  6 O 2.08-2.33
Sb1 0.1034 0.2602 0.7687 [4 per cell]  4 O 2.13-2.24
Sb2 0.1851 0.0000 0.2664 [2 per cell]  6 O 1.99-2.08
O1 0.0019 0.0000 0.6730 [2 per cell]  1 Li 1.86, 1 Fe 1.98
O2 0.0200 0.0000 0.1826 [2 per cell]  1 Li 1.83, 1 Sb 1.99
O3 0.0349 0.5000 0.5872 [2 per cell]  1 Nb 1.94, 1 Li 2.06
O4 0.1123 0.2391 0.3861 [4 per cell]  1 Nb 2.05, 1 Sb 2.08, 1 Li 2.16
O5 0.1789 0.0000 0.8855 [2 per cell]  2 Sb 2.16, 1 Nb 2.28, 1 Li 2.29
O6 0.2094 0.5000 0.8894 [2 per cell]  1 Fe 1.93, 1 Li 2.01
O7 0.2549 0.2875 0.6387 [4 per cell]  1 Fe 2.12, 1 Sb 2.13, 1 Nb 2.17, 1 Li 2.19
O8 0.2611 0.2105 0.1386 [4 per cell]  1 Sb 2.02, 1 Li 2.05, 1 Nb 2.17, 1 Fe 2.25
O9 0.3391 0.0000 0.3726 [2 per cell]  1 Li 1.96, 1 Sb 1.99, 2 Fe 2.09
O10 0.3445 0.5000 0.3887 [2 per cell]  1 Li 2.00, 1 Nb 2.02, 2 Fe 2.15
O11 0.4125 0.2457 0.9022 [4 per cell]  1 Nb 1.94, 1 Li 2.09
O12 0.4866 0.0000 0.1348 [2 per cell]  1 Nb 1.92

---

Material: Li4Nb3Fe3Te2O16
Method: DFT, GGA+U
State: relaxed

## Properties
formation energy from the elements	-62.31	eV/f.u.
energy with MP2020 corrections	-7.54	eV per atom
magnetization	26.00	μB/cell

Unit cell a=10.9592 b=6.0790 c=10.5007 alpha=90.00 beta=90.47 gamma=90.00
Last column: nearest neighbours and their distance in Å.
Space group Cm (No. 8)
Symmetry-distinct sites (fractional):
Li1 0.0000 0.0000 0.0000 [2 per cell]  4 O 1.95-2.15
Li2 0.0033 0.0000 0.5129 [2 per cell]  4 O 1.92-2.04
Li3 0.1628 0.5000 0.5932 [2 per cell]  4 O 2.00-2.08
Li4 0.3327 0.0000 0.0929 [2 per cell]  4 O 2.06-2.10
Nb1 0.0955 0.2575 0.2759 [4 per cell]  5 O 1.89-2.09
Nb2 0.1834 0.0000 0.7617 [2 per cell]  4 O 1.91-2.00
Fe1 0.3360 0.5000 0.2904 [2 per cell]  6 O 2.15-2.25
Fe2 0.4160 0.2438 0.7828 [4 per cell]  6 O 2.10-2.23
Te1 0.1725 0.5000 0.9794 [2 per cell]  3 O 1.98
Te2 0.3583 0.0000 0.5008 [2 per cell]  3 O 1.98-2.00
O1 0.0032 0.0000 0.1856 [2 per cell]  1 Li 1.95, 2 Nb 2.09, 1 Fe 2.15
O2 0.0062 0.5000 0.1705 [2 per cell]  1 Li 2.06, 2 Nb 2.08
O3 0.0134 0.0000 0.6959 [2 per cell]  1 Li 1.92, 1 Nb 1.98, 2 Fe 2.10
O4 0.0896 0.2527 0.8924 [4 per cell]  1 Te 1.98, 1 Li 2.15
O5 0.1416 0.0000 0.3919 [2 per cell]  1 Li 1.99, 2 Nb 2.04
+++

Hiding In The Wings

It's been a week since George was put down and strange as it would seem for an old sentimental queen I haven't cried or felt sorry myself since
It was his time to go
Old dogs have no fear of death, they just soldier on until they fall over.

This morning I had a wobble
It was in the middle of chasing my tail; booking bluebell in for her service, sorting out new job admin, mentoring Sams volunteers and making sure my fast talking financial advisor doesn't forget me!
I had just finished eating 2  eggs on dry toast
as I downed my only coffee bucket of the day
and without thinking I popped the eggy detritus covered plate on the floor by the table leg

Only he wasn't there
There was no scraping of old nails on lino
No quiet black art deco shaped shadow morphing out from under the table
No paced enjoyment of an everyday treat

The bright yellow yolk smears remained untouched
crumbs and crusts  still cluttering the plate

And the knife stab of realisation was as painful as a real wounding
Thirteen years is a long time to have a constant companion
Even one who always hid away in the wings

But the stab lasted but a mere moment so there is no need to tell me you love me

as Stevie Nicks belted out on Sunday

"Don't stop thinking about tomorrow
Don't stop, it'll soon be here
It'll be here, better than before
Yesterday's gone, yesterday's gone"

Pallet and South Africa in Gwaenysgor

Luckily I am camoflagued by the delightful and more photogenic Hattie
I was more impressed by these two songs
I hope you enjoy them

You Raise Me Up

A bit ragged around the edges but it's fun to sing
I'll post a few more videos below this one when they arrive

The School Concert

Our Choir

We are all kids at heart
We all need vindication
And we all have the need to please, even though we may think that we are grown ups in a grown up world .

My sister,brother in law and sister in law came to watch our " concert" tonight as did many of the other choir member's relatives
And it was lovely for Me to see them there.
Even though my husband should have been proudly watching me from the wings
Or so I thought albeit briefly.
I hope Jamie with his 1940s RAF moustache was proud of us too and I'm pleased to admit that we only made one mistake when we followed the loudest bass when he veered "off piste" during one of the choruses

One of the Altos caught me drinking out of my water bottle just before the particularly hard Gregorian Chant piece  and she raised her eyebrows to see what I was gulping
" Pimms !" I told her conspiratorially  " want some?"
She nodded eagerly

I'll post a video of some of the performance tomorrow

Choir Practice and a Choking Cock!

one of the songs we will be singing tonight, ours is a little more upbeat

It's the choir's summer concert tonight at Gwaenysgor's Village Hall
The concert is open to the families of the choir and is a very informal affair
There will be food and I am sure a few gins smuggled into various of the soprano's water flasks

I have been practicing my weaker songs in Bluebell this morning. The car CD is the only thing that will play Choirmaster Jamie's singalong cd.
I caused a few raised eyebrows in Marks & Spencer's car park around eleven when I had to stop to master a particularly knotty bit of NKOSI SIKELEL' I AFRIKA 
I fucked up Finlandia on the A55 near Caerwys but gave a particularly rousing performance of
You Raise Me UP negotiating the Abergele roundabout

"Ufelise lintoa le matsoenyeho!" 

Try saying that with your teeth in- let alone sing the bugger!

I am on holiday today and for the first time since last autumn I am not working any of it.
I have a great deal to do and already this morning have been side tracked into practicing singing, dropping flowers off to Boffin Cameron's Mum for co walking the dogs when I was away and performing a somewhat hurried Heimlich manoeuvre on one of the cockerels after he had tried to stuff an over large piece of weightwatchers bread into his crop.
(a message to anyone who may need to know this, if your chicken chokes on a piece of bread or indeed has an impacted crop just grab the little sod firmly by the feet and swing him in a wide arc, preferably at armpit height.
centrifugal force will do the rest believe me!